What is needed: set down all of the lines below without altering anything.

Density functional theory data (PBE) for InTe2MoN after structural relaxation.

Computed properties:
**E_tot**: -5.51 eV per atom
**Formation energy without anion corrections**: 0.6 eV per formula unit
**Offset from the most stable computed form**: 0 meV per atom

Lattice parameters (Å, degrees): 5.561 5.561 3.828 90.00 90.00 90.00
Fractional positions:
In (0.000, 0.000, 0.000)
Te (0.000, 0.500, 0.500)
Te (0.500, 0.000, 0.500)
Mo (0.500, 0.500, 0.500)
N (0.500, 0.500, 0.000)

=====

Density functional theory data (PBE) for ZrHgAu2 after structural relaxation.

Computed properties:
**E_tot**: -3.76 eV per atom
**Formation energy**: 0.09 eV per atom

Lattice parameters (Å, degrees): 6.490 6.490 6.490 154.27 132.46 54.83
Fractional positions:
Zr (0.000, 0.000, 0.000)
Hg (0.500, 0.500, 0.000)
Au (0.240, 0.240, 0.000)
Au (0.760, 0.760, 0.000)

=====

Density functional theory data (PBE) for SrCdN after structural relaxation.

Computed properties:
**E_tot**: -3.90 eV per atom
**Formation energy without anion corrections**: -0.8 eV per formula unit
**Offset from the most stable computed form**: 26 meV per atom

Lattice parameters (Å, degrees): 10.009 10.009 10.009 157.68 157.68 31.77
Fractional positions:
Sr (0.188, 0.188, 0.000)
Sr (0.812, 0.812, 0.000)
Cd (0.430, 0.430, 0.000)
Cd (0.570, 0.570, 0.000)
N (0.321, 0.321, 0.000)
N (0.679, 0.679, 0.000)

=====

Density functional theory data (PBE) for CoRh2C2 after structural relaxation.

Computed properties:
**E_tot**: -7.39 eV per atom
**Formation energy**: 0.66 eV per atom
**Offset from the most stable computed form**: 0 meV per atom

Lattice parameters (Å, degrees): 4.599 4.599 4.599 132.01 132.01 70.21
Fractional positions:
Co (0.000, 0.000, 0.000)
Rh (0.250, 0.750, 0.500)
Rh (0.750, 0.250, 0.500)
C (0.403, 0.403, 0.000)
C (0.597, 0.597, 0.000)

=====

Density functional theory data (PBE) for TbPu2Se3 after structural relaxation.

Computed properties:
**E_tot**: -8.92 eV per atom
**Formation energy without anion corrections**: -9.8 eV per formula unit

Lattice parameters (Å, degrees): 7.144 7.144 7.144 146.37 131.75 60.09
Fractional positions:
Tb (0.000, 0.000, 0.000)
Pu (0.333, 0.333, 0.000)
Pu (0.667, 0.667, 0.000)
Se (0.166, 0.666, 0.500)
Se (0.500, 0.000, 0.500)
Se (0.834, 0.334, 0.500)

=====

Density functional theory data (PBE) for Pr3SnPd4 after structural relaxation.

Computed properties:
**E_tot**: -5.56 eV per atom
**Formation energy**: -0.67 eV per atom

Lattice parameters (Å, degrees): 8.427 8.427 8.427 152.40 132.85 55.51
Fractional positions:
Pr (0.000, 0.000, 0.000)
Pr (0.311, 0.811, 0.500)
Pr (0.689, 0.189, 0.500)
Sn (0.500, 0.500, 0.000)
Pd (0.075, 0.375, 0.700)
Pd (0.326, 0.625, 0.700)
Pd (0.674, 0.375, 0.300)
Pd (0.925, 0.625, 0.300)

=====

Density functional theory data (PBE) for CsCd2InPb after structural relaxation.

Computed properties:
**E_tot**: -1.91 eV per atom
**Formation energy**: -0.08 eV per atom

Lattice parameters (Å, degrees): 7.402 7.402 7.402 139.54 138.75 59.16
Fractional positions:
Cs (0.000, 0.000, 0.000)
Cd (0.623, 0.623, 0.000)
Cd (0.750, 0.250, 0.500)
In (0.242, 0.742, 0.500)
Pb (0.380, 0.380, 0.000)

=====

Density functional theory data (PBE) for LuThBe after structural relaxation.

Computed properties:
**E_tot**: -5.08 eV per atom
**Formation energy**: 0.14 eV per atom

Lattice parameters (Å, degrees): 6.602 6.602 6.602 150.11 150.11 42.78
Fractional positions:
Lu (0.000, 0.000, 0.000)
Th (0.717, 0.717, 0.000)
Be (0.368, 0.368, 0.000)

=====

Density functional theory data (PBE) for UIn2Hg after structural relaxation.

Computed properties:
**E_tot**: -4.11 eV per atom
**Formation energy**: 0.16 eV per atom
**Offset from the most stable computed form**: 83 meV per atom

Lattice parameters (Å, degrees): 3.059 3.059 10.401 90.00 90.00 90.00
Fractional positions:
U (0.000, 0.000, 0.000)
In (0.500, 0.500, 0.242)
In (0.500, 0.500, 0.758)
Hg (0.000, 0.000, 0.500)

=====

Density functional theory data (PBE) for InTe2MoN after structural relaxation.

Computed properties:
**E_tot**: -5.51 eV per atom
**Formation energy without anion corrections**: 0.6 eV per formula unit
**Offset from the most stable computed form**: 0 meV per atom

Lattice parameters (Å, degrees): 5.561 5.561 3.828 90.00 90.00 90.00
Fractional positions:
In (0.000, 0.000, 0.000)
Te (0.000, 0.500, 0.500)
Te (0.500, 0.000, 0.500)
Mo (0.500, 0.500, 0.500)
N (0.500, 0.500, 0.000)

=====

Density functional theory data (PBE) for ZrHgAu2 after structural relaxation.

Computed properties:
**E_tot**: -3.76 eV per atom
**Formation energy**: 0.09 eV per atom

Lattice parameters (Å, degrees): 6.490 6.490 6.490 154.27 132.46 54.83
Fractional positions:
Zr (0.000, 0.000, 0.000)
Hg (0.500, 0.500, 0.000)
Au (0.240, 0.240, 0.000)
Au (0.760, 0.760, 0.000)

=====

Density functional theory data (PBE) for SrCdN after structural relaxation.

Computed properties:
**E_tot**: -3.90 eV per atom
**Formation energy without anion corrections**: -0.8 eV per formula unit
**Offset from the most stable computed form**: 26 meV per atom

Lattice parameters (Å, degrees): 10.009 10.009 10.009 157.68 157.68 31.77
Fractional positions:
Sr (0.188, 0.188, 0.000)
Sr (0.812, 0.812, 0.000)
Cd (0.430, 0.430, 0.000)
Cd (0.570, 0.570, 0.000)
N (0.321, 0.321, 0.000)
N (0.679, 0.679, 0.000)

=====

Density functional theory data (PBE) for CoRh2C2 after structural relaxation.

Computed properties:
**E_tot**: -7.39 eV per atom
**Formation energy**: 0.66 eV per atom
**Offset from the most stable computed form**: 0 meV per atom

Lattice parameters (Å, degrees): 4.599 4.599 4.599 132.01 132.01 70.21
Fractional positions:
Co (0.000, 0.000, 0.000)
Rh (0.250, 0.750, 0.500)
Rh (0.750, 0.250, 0.500)
C (0.403, 0.403, 0.000)
C (0.597, 0.597, 0.000)

=====

Density functional theory data (PBE) for TbPu2Se3 after structural relaxation.

Computed properties:
**E_tot**: -8.92 eV per atom
**Formation energy without anion corrections**: -9.8 eV per formula unit

Lattice parameters (Å, degrees): 7.144 7.144 7.144 146.37 131.75 60.09
Fractional positions:
Tb (0.000, 0.000, 0.000)
Pu (0.333, 0.333, 0.000)
Pu (0.667, 0.667, 0.000)
Se (0.166, 0.666, 0.500)
Se (0.500, 0.000, 0.500)
Se (0.834, 0.334, 0.500)

=====

Density functional theory data (PBE) for Pr3SnPd4 after structural relaxation.

Computed properties:
**E_tot**: -5.56 eV per atom
**Formation energy**: -0.67 eV per atom

Lattice parameters (Å, degrees): 8.427 8.427 8.427 152.40 132.85 55.51
Fractional positions:
Pr (0.000, 0.000, 0.000)
Pr (0.311, 0.811, 0.500)
Pr (0.689, 0.189, 0.500)
Sn (0.500, 0.500, 0.000)
Pd (0.075, 0.375, 0.700)
Pd (0.326, 0.625, 0.700)
Pd (0.674, 0.375, 0.300)
Pd (0.925, 0.625, 0.300)

=====

Density functional theory data (PBE) for CsCd2InPb after structural relaxation.

Computed properties:
**E_tot**: -1.91 eV per atom
**Formation energy**: -0.08 eV per atom

Lattice parameters (Å, degrees): 7.402 7.402 7.402 139.54 138.75 59.16
Fractional positions:
Cs (0.000, 0.000, 0.000)
Cd (0.623, 0.623, 0.000)
Cd (0.750, 0.250, 0.500)
In (0.242, 0.742, 0.500)
Pb (0.380, 0.380, 0.000)

=====

Density functional theory data (PBE) for LuThBe after structural relaxation.

Computed properties:
**E_tot**: -5.08 eV per atom
**Formation energy**: 0.14 eV per atom

Lattice parameters (Å, degrees): 6.602 6.602 6.602 150.11 150.11 42.78
Fractional positions:
Lu (0.000, 0.000, 0.000)
Th (0.717, 0.717, 0.000)
Be (0.368, 0.368, 0.000)

=====

Density functional theory data (PBE) for UIn2Hg after structural relaxation.

Computed properties:
**E_tot**: -4.11 eV per atom
**Formation energy**: 0.16 eV per atom
**Offset from the most stable computed form**: 83 meV per atom

Lattice parameters (Å, degrees): 3.059 3.059 10.401 90.00 90.00 90.00
Fractional positions:
U (0.000, 0.000, 0.000)
In (0.500, 0.500, 0.242)
In (0.500, 0.500, 0.758)
Hg (0.000, 0.000, 0.500)

=====